# File
DFT (wB97M-V/def2-TZVPD) results for C42H28Cl5OP2RuS as an isolated structure.

CARTESIAN COORDINATES (ANGSTROEM)
Ru (-0.026, 0.118, 0.212)
O (-1.151, -1.605, -2.556)
S (-0.120, -0.689, -2.087)
C (1.482, -1.233, -2.627)
C (1.753, -1.631, -3.900)
C (3.026, -1.984, -4.335)
C (4.044, -2.124, -3.405)
C (3.709, -1.823, -2.071)
C (2.486, -1.286, -1.644)
P (2.209, -0.988, 0.120)
C (2.451, -2.415, 1.140)
C (2.130, -2.224, 2.496)
C (2.603, -3.033, 3.464)
C (3.531, -4.011, 3.130)
C (3.815, -4.273, 1.819)
C (3.291, -3.431, 0.831)
C (3.489, 0.216, 0.758)
C (4.573, 0.581, -0.040)
C (5.619, 1.176, 0.669)
C (5.663, 1.378, 2.023)
C (4.548, 1.115, 2.775)
C (3.462, 0.554, 2.119)
C (-0.465, 0.856, -2.925)
C (0.131, 1.215, -4.090)
C (-0.197, 2.420, -4.683)
C (-1.026, 3.303, -3.972)
C (-1.673, 2.874, -2.784)
C (-1.368, 1.658, -2.209)
P (-1.967, 1.114, -0.598)
C (-2.427, 2.511, 0.386)
C (-3.547, 2.350, 1.262)
C (-3.716, 3.319, 2.200)
C (-2.980, 4.505, 2.181)
C (-1.967, 4.725, 1.268)
C (-1.628, 3.697, 0.375)
C (-3.597, 0.293, -0.789)
C (-3.720, -1.082, -0.599)
C (-4.946, -1.701, -0.850)
C (-6.031, -0.915, -1.310)
C (-5.900, 0.441, -1.512)
C (-4.671, 1.035, -1.278)
H (0.976, -1.495, -4.631)
H (3.123, -2.010, -5.409)
H (5.034, -2.512, -3.542)
H (4.495, -1.870, -1.356)
H (1.434, -1.408, 2.764)
H (2.353, -2.887, 4.528)
H (3.932, -4.680, 3.924)
H (4.390, -5.126, 1.537)
H (3.576, -3.598, -0.199)
H (4.604, 0.523, -1.157)
H (6.440, 1.622, 0.132)
H (6.518, 1.811, 2.436)
H (4.510, 1.294, 3.807)
H (2.631, 0.399, 2.726)
H (0.708, 0.471, -4.697)
H (0.199, 2.722, -5.605)
H (-1.213, 4.242, -4.379)
H (-2.307, 3.544, -2.159)
H (-4.165, 1.484, 1.326)
H (-4.491, 3.234, 2.958)
H (-3.222, 5.253, 2.932)
H (-1.433, 5.656, 1.223)
H (-0.790, 3.778, -0.308)
H (-2.897, -1.733, -0.299)
H (-5.030, -2.737, -0.758)
H (-6.953, -1.406, -1.435)
H (-6.761, 1.090, -1.859)
H (-4.592, 2.132, -1.345)
Cl (-0.939, -3.234, 0.763)
C (-1.562, -2.017, 1.859)
C (-0.966, -0.764, 1.805)
C (-1.445, 0.066, 2.770)
Cl (1.102, 2.085, -0.114)
C (-2.343, -0.171, 3.736)
Cl (-2.869, 1.013, 4.898)
C (-2.917, -1.483, 3.821)
Cl (-4.271, -1.907, 4.754)
C (-2.493, -2.435, 2.834)
Cl (-3.256, -3.954, 2.758)

Results
- E (eV) = -140642.93942
- 2S+1 = 6
- charge = +2

~~~~~

Computed, not measured: C37H51I2O2Se2Ta as an isolated structure in a non-equilibrium geometry, with wB97M-V/def2-TZVPD.

Net charge ... +2
M ... 1120.49 u
Energy relative to the best compared isomer or geometry (same formula, charge and spin) ... 15.3 kJ/mol
Gap between HOMO and LUMO ... 5.92 eV
F_max ... 1.06 eV/Å
Multiplicity ... 1
DFT total energy ... -7045.7752 hartree

```
95
C37H51I2O2Se2Ta, DFT wB97M-V/def2-TZVPD
Ta -1.701 0.515 1.523
I -3.781 5.070 3.255
I -3.612 2.409 3.270
Se -2.852 -0.632 3.412
Se 0.910 0.448 2.140
O -1.065 2.175 1.012
O -1.156 -1.049 0.732
C -0.519 -5.050 -0.641
C 1.273 2.035 1.104
C 0.169 2.743 0.630
C -4.417 -0.035 0.557
C 4.017 -2.503 -1.173
C 4.913 2.840 -0.984
C 0.077 -1.582 0.295
C 2.560 2.432 0.857
C 1.499 -2.928 -0.985
C 2.460 -1.190 0.336
C 1.644 4.225 -0.420
C -0.799 4.767 -0.731
C 4.226 5.227 -1.181
C -4.193 -3.075 2.935
C -2.218 4.300 -0.408
C 2.624 -2.213 -0.612
C -3.409 -3.665 4.080
C -4.663 -1.343 1.260
C -5.232 -3.819 2.386
C -0.925 -3.617 -1.021
C 4.987 -2.794 -0.019
C -0.618 6.179 -0.152
C -5.693 -2.130 0.767
C -7.165 -4.179 0.823
C 4.921 4.331 1.036
C -2.294 -3.343 -0.403
C 4.013 -3.699 -2.124
C 4.488 -1.259 -1.941
C 2.765 3.560 0.049
C -6.011 -3.359 1.334
C -0.652 4.809 -2.258
C 0.306 3.870 -0.149
C 1.195 -0.888 0.759
C 4.193 3.998 -0.274
C 0.188 -2.671 -0.541
C -3.950 -1.817 2.380
C -1.052 -3.501 -2.547
H -7.901 -4.330 1.614
H -2.567 -3.052 4.393
H -6.267 -1.777 -0.083
H -3.014 -4.640 3.792
H -1.813 -4.196 -2.908
H -5.445 -4.795 2.812
H 5.912 3.155 -1.287
H -1.329 -5.735 -0.900
H 4.657 -3.653 0.569
H 4.370 2.525 -1.879
H 5.098 -1.941 0.655
H -2.923 5.022 -0.822
H 5.026 -3.865 -2.492
H 5.483 -1.433 -2.355
H -0.329 -5.136 0.431
H 1.624 -3.753 -1.671
H 0.300 6.652 -0.503
H -7.662 -3.694 -0.015

# Brief
Find the line earlier on that holds "(2.603, -3.033,", then write out that line and all lines after it there.

# Solution
C (2.603, -3.033, 3.464)
C (3.531, -4.011, 3.130)
C (3.815, -4.273, 1.819)
C (3.291, -3.431, 0.831)
C (3.489, 0.216, 0.758)
C (4.573, 0.581, -0.040)
C (5.619, 1.176, 0.669)
C (5.663, 1.378, 2.023)
C (4.548, 1.115, 2.775)
C (3.462, 0.554, 2.119)
C (-0.465, 0.856, -2.925)
C (0.131, 1.215, -4.090)
C (-0.197, 2.420, -4.683)
C (-1.026, 3.303, -3.972)
C (-1.673, 2.874, -2.784)
C (-1.368, 1.658, -2.209)
P (-1.967, 1.114, -0.598)
C (-2.427, 2.511, 0.386)
C (-3.547, 2.350, 1.262)
C (-3.716, 3.319, 2.200)
C (-2.980, 4.505, 2.181)
C (-1.967, 4.725, 1.268)
C (-1.628, 3.697, 0.375)
C (-3.597, 0.293, -0.789)
C (-3.720, -1.082, -0.599)
C (-4.946, -1.701, -0.850)
C (-6.031, -0.915, -1.310)
C (-5.900, 0.441, -1.512)
C (-4.671, 1.035, -1.278)
H (0.976, -1.495, -4.631)
H (3.123, -2.010, -5.409)
H (5.034, -2.512, -3.542)
H (4.495, -1.870, -1.356)
H (1.434, -1.408, 2.764)
H (2.353, -2.887, 4.528)
H (3.932, -4.680, 3.924)
H (4.390, -5.126, 1.537)
H (3.576, -3.598, -0.199)
H (4.604, 0.523, -1.157)
H (6.440, 1.622, 0.132)
H (6.518, 1.811, 2.436)
H (4.510, 1.294, 3.807)
H (2.631, 0.399, 2.726)
H (0.708, 0.471, -4.697)
H (0.199, 2.722, -5.605)
H (-1.213, 4.242, -4.379)
H (-2.307, 3.544, -2.159)
H (-4.165, 1.484, 1.326)
H (-4.491, 3.234, 2.958)
H (-3.222, 5.253, 2.932)
H (-1.433, 5.656, 1.223)
H (-0.790, 3.778, -0.308)
H (-2.897, -1.733, -0.299)
H (-5.030, -2.737, -0.758)
H (-6.953, -1.406, -1.435)
H (-6.761, 1.090, -1.859)
H (-4.592, 2.132, -1.345)
Cl (-0.939, -3.234, 0.763)
C (-1.562, -2.017, 1.859)
C (-0.966, -0.764, 1.805)
C (-1.445, 0.066, 2.770)
Cl (1.102, 2.085, -0.114)
C (-2.343, -0.171, 3.736)
Cl (-2.869, 1.013, 4.898)
C (-2.917, -1.483, 3.821)
Cl (-4.271, -1.907, 4.754)
C (-2.493, -2.435, 2.834)
Cl (-3.256, -3.954, 2.758)

Results
- E (eV) = -140642.93942
- 2S+1 = 6
- charge = +2

~~~~~

Computed, not measured: C37H51I2O2Se2Ta as an isolated structure in a non-equilibrium geometry, with wB97M-V/def2-TZVPD.

Net charge ... +2
M ... 1120.49 u
Energy relative to the best compared isomer or geometry (same formula, charge and spin) ... 15.3 kJ/mol
Gap between HOMO and LUMO ... 5.92 eV
F_max ... 1.06 eV/Å
Multiplicity ... 1
DFT total energy ... -7045.7752 hartree

```
95
C37H51I2O2Se2Ta, DFT wB97M-V/def2-TZVPD
Ta -1.701 0.515 1.523
I -3.781 5.070 3.255
I -3.612 2.409 3.270
Se -2.852 -0.632 3.412
Se 0.910 0.448 2.140
O -1.065 2.175 1.012
O -1.156 -1.049 0.732
C -0.519 -5.050 -0.641
C 1.273 2.035 1.104
C 0.169 2.743 0.630
C -4.417 -0.035 0.557
C 4.017 -2.503 -1.173
C 4.913 2.840 -0.984
C 0.077 -1.582 0.295
C 2.560 2.432 0.857
C 1.499 -2.928 -0.985
C 2.460 -1.190 0.336
C 1.644 4.225 -0.420
C -0.799 4.767 -0.731
C 4.226 5.227 -1.181
C -4.193 -3.075 2.935
C -2.218 4.300 -0.408
C 2.624 -2.213 -0.612
C -3.409 -3.665 4.080
C -4.663 -1.343 1.260
C -5.232 -3.819 2.386
C -0.925 -3.617 -1.021
C 4.987 -2.794 -0.019
C -0.618 6.179 -0.152
C -5.693 -2.130 0.767
C -7.165 -4.179 0.823
C 4.921 4.331 1.036
C -2.294 -3.343 -0.403
C 4.013 -3.699 -2.124
C 4.488 -1.259 -1.941
C 2.765 3.560 0.049
C -6.011 -3.359 1.334
C -0.652 4.809 -2.258
C 0.306 3.870 -0.149
C 1.195 -0.888 0.759
C 4.193 3.998 -0.274
C 0.188 -2.671 -0.541
C -3.950 -1.817 2.380
C -1.052 -3.501 -2.547
H -7.901 -4.330 1.614
H -2.567 -3.052 4.393
H -6.267 -1.777 -0.083
H -3.014 -4.640 3.792
H -1.813 -4.196 -2.908
H -5.445 -4.795 2.812
H 5.912 3.155 -1.287
H -1.329 -5.735 -0.900
H 4.657 -3.653 0.569
H 4.370 2.525 -1.879
H 5.098 -1.941 0.655
H -2.923 5.022 -0.822
H 5.026 -3.865 -2.492
H 5.483 -1.433 -2.355
H -0.329 -5.136 0.431
H 1.624 -3.753 -1.671
H 0.300 6.652 -0.503
H -7.662 -3.694 -0.015